Next, transcribe the whole of the block further below with every line break kept.

Record 1
56
Properties=species:S:1:pos:R:3:forces:R:3:lowdin_charge:R:1 method="wB97M-V/def2-TZVPD" charge=+2 energy_ha=-3360.58096 homo_lumo_gap_ev="5.41 / 5.48" lumo_energy_ev="-8.8 / -8.7"
C 1.559149 2.130339 -0.916633 4.24 4.33 -5.38 -0.285
H 2.471925 2.804357 -0.755041 -1.42 -1.00 0.53 0.132
H 1.925575 1.361057 -1.680061 -0.81 0.54 1.03 0.089
H 1.912289 1.287332 1.302248 4.09 1.22 0.00 -0.132
C 0.287711 2.917917 -1.257014 -0.03 0.05 0.82 -0.355
H -0.448947 2.252572 -1.791847 0.46 0.90 0.42 0.101
H -0.150799 3.300375 -0.298364 -0.02 -0.49 -0.43 0.067
C 0.616954 4.222635 -2.019772 -1.54 -0.24 -0.84 -0.051
H -0.315970 4.830609 -2.096325 0.67 -0.37 0.33 0.110
H 1.407846 4.835264 -1.608387 0.15 -0.16 0.26 0.092
H 0.821581 3.951224 -3.043237 0.51 0.10 -0.37 0.082
C -0.864917 -1.704776 -0.042786 2.53 -0.66 0.34 -0.280
C -1.519276 -0.899061 -1.029713 0.00 0.10 -0.95 -0.227
C -0.572999 -0.612151 -2.054838 1.02 0.20 0.34 -0.259
C 0.668947 -1.204949 -1.700080 -1.08 0.42 -1.40 -0.255
C 0.494402 -1.896000 -0.459648 -2.16 -0.47 1.32 -0.290
C 1.525269 -2.712239 0.227517 0.53 -0.39 0.21 -0.014
C 1.884876 -1.211745 -2.557864 0.32 -0.30 -0.22 0.001
C -0.829160 0.107430 -3.326736 -0.21 0.06 -0.66 -0.021
C -2.951046 -0.525711 -1.031824 -0.15 0.18 -0.39 0.009
C -1.510679 -2.304751 1.152626 -0.31 -0.36 0.13 -0.012
La 0.488359 0.777758 0.411499 -4.98 -4.09 0.93 1.597
H 2.764895 -1.585848 -2.032897 -0.09 -0.07 -0.02 0.089
H 1.772485 -1.821910 -3.481641 -0.16 0.27 0.58 0.130
H 2.131507 -0.210163 -2.898955 -0.02 0.14 -0.26 0.073
H 2.539400 -2.370493 -0.010923 -0.15 -0.13 -0.04 0.087
H 1.426048 -2.645251 1.311135 -0.07 -0.12 0.11 0.081
H 1.481112 -3.793424 -0.023346 -0.09 0.60 0.01 0.126
H -2.221040 -1.607787 1.603685 -0.08 -0.09 0.00 0.076
H -2.070934 -3.219613 0.862540 0.27 0.45 0.25 0.123
H -0.780040 -2.583427 1.919847 -0.12 -0.06 -0.16 0.086
H -3.177701 0.160846 -1.866570 0.01 -0.31 0.51 0.093
H -3.547261 -1.440514 -1.190842 0.03 0.25 0.16 0.127
H -3.265385 -0.063297 -0.083525 0.06 -0.22 -0.23 0.082
H -0.111388 0.916917 -3.528214 -0.13 -0.24 0.02 0.086
H -0.775794 -0.592125 -4.176950 0.04 0.25 0.20 0.114
H -1.835552 0.532104 -3.343879 0.18 0.05 -0.06 0.083
C 1.276795 1.095458 3.272446 -0.07 -1.04 1.32 -0.105
N 0.004238 0.603166 3.770827 -1.04 -0.16 0.20 -0.078
C -1.223381 0.920306 3.283260 -1.07 -1.15 1.62 -0.703
Se -1.621285 2.057308 1.887723 -0.73 0.50 0.02 0.709
N -2.188550 0.312035 4.083782 6.99 -0.46 0.23 0.172
C -1.474722 -0.330791 5.166255 -2.17 0.96 -1.05 -0.165
C -1.985866 -0.784054 6.352515 -0.08 -0.81 1.13 0.014
C -1.072304 -1.060396 7.378605 0.03 0.22 -0.88 -0.025
C 0.305798 -0.858499 7.176867 -0.25 -0.07 -0.36 -0.032
C 0.780210 -0.411576 5.945501 0.68 -0.24 0.44 0.007
C -0.143306 -0.156932 4.953227 0.65 0.83 -0.28 -0.167
H 1.721314 0.417994 2.486410 -0.39 0.63 1.25 0.016
H 1.991899 1.064543 4.118103 -0.31 0.19 -0.55 0.120
H 1.160493 2.133561 2.943547 0.13 -0.31 -0.15 0.083
H -3.120259 0.431978 4.019887 -3.66 0.60 -0.40 0.110
H -3.057081 -0.931738 6.466231 0.21 0.11 0.19 0.131
H -1.408580 -1.412996 8.337367 -0.18 -0.05 0.12 0.117
H 0.986165 -1.050868 8.000580 -0.01 0.05 -0.22 0.123
H 1.837484 -0.225501 5.760582 -0.20 -0.13 0.28 0.118

=====

Record 2
16
Properties=species:S:1:pos:R:3:forces:R:3:lowdin_charge:R:1 method="wB97M-V/def2-TZVPD" charge=+1 energy_ha=-379.20092 homo_lumo_gap_ev=8.17 lumo_energy_ev=-5.7
C -2.691653 -0.164406 0.253119 0.50 1.90 0.25 -0.022
C 2.326276 0.270595 -0.579831 2.20 1.56 0.43 0.044
C -1.796807 -0.518068 -0.672838 -3.28 -0.83 1.83 -0.072
N 1.320350 -0.289149 0.215372 -2.40 -0.12 2.53 -0.190
N 0.279831 0.263961 0.689781 0.38 -0.37 1.12 0.104
O 1.506814 -1.622004 0.582152 -0.28 1.68 -0.57 0.140
O 0.151245 1.570577 0.461524 3.78 -1.25 -2.14 0.105
H -3.462497 -0.803423 0.629886 -0.22 -0.45 -0.01 0.051
H 1.134383 -1.659857 1.471545 -0.31 -0.41 0.47 0.144
H -2.747000 0.897704 0.716522 0.33 -1.83 -0.88 0.085
H 1.723227 0.768408 -1.283272 -0.10 1.27 -1.43 0.085

Record 1
56
Properties=species:S:1:pos:R:3:forces:R:3:lowdin_charge:R:1 method="wB97M-V/def2-TZVPD" charge=+2 energy_ha=-3360.58096 homo_lumo_gap_ev="5.41 / 5.48" lumo_energy_ev="-8.8 / -8.7"
C 1.559149 2.130339 -0.916633 4.24 4.33 -5.38 -0.285
H 2.471925 2.804357 -0.755041 -1.42 -1.00 0.53 0.132
H 1.925575 1.361057 -1.680061 -0.81 0.54 1.03 0.089
H 1.912289 1.287332 1.302248 4.09 1.22 0.00 -0.132
C 0.287711 2.917917 -1.257014 -0.03 0.05 0.82 -0.355
H -0.448947 2.252572 -1.791847 0.46 0.90 0.42 0.101
H -0.150799 3.300375 -0.298364 -0.02 -0.49 -0.43 0.067
C 0.616954 4.222635 -2.019772 -1.54 -0.24 -0.84 -0.051
H -0.315970 4.830609 -2.096325 0.67 -0.37 0.33 0.110
H 1.407846 4.835264 -1.608387 0.15 -0.16 0.26 0.092
H 0.821581 3.951224 -3.043237 0.51 0.10 -0.37 0.082
C -0.864917 -1.704776 -0.042786 2.53 -0.66 0.34 -0.280
C -1.519276 -0.899061 -1.029713 0.00 0.10 -0.95 -0.227
C -0.572999 -0.612151 -2.054838 1.02 0.20 0.34 -0.259
C 0.668947 -1.204949 -1.700080 -1.08 0.42 -1.40 -0.255
C 0.494402 -1.896000 -0.459648 -2.16 -0.47 1.32 -0.290
C 1.525269 -2.712239 0.227517 0.53 -0.39 0.21 -0.014
C 1.884876 -1.211745 -2.557864 0.32 -0.30 -0.22 0.001
C -0.829160 0.107430 -3.326736 -0.21 0.06 -0.66 -0.021
C -2.951046 -0.525711 -1.031824 -0.15 0.18 -0.39 0.009
C -1.510679 -2.304751 1.152626 -0.31 -0.36 0.13 -0.012
La 0.488359 0.777758 0.411499 -4.98 -4.09 0.93 1.597
H 2.764895 -1.585848 -2.032897 -0.09 -0.07 -0.02 0.089
H 1.772485 -1.821910 -3.481641 -0.16 0.27 0.58 0.130
H 2.131507 -0.210163 -2.898955 -0.02 0.14 -0.26 0.073
H 2.539400 -2.370493 -0.010923 -0.15 -0.13 -0.04 0.087
H 1.426048 -2.645251 1.311135 -0.07 -0.12 0.11 0.081
H 1.481112 -3.793424 -0.023346 -0.09 0.60 0.01 0.126
H -2.221040 -1.607787 1.603685 -0.08 -0.09 0.00 0.076
H -2.070934 -3.219613 0.862540 0.27 0.45 0.25 0.123
H -0.780040 -2.583427 1.919847 -0.12 -0.06 -0.16 0.086
H -3.177701 0.160846 -1.866570 0.01 -0.31 0.51 0.093
H -3.547261 -1.440514 -1.190842 0.03 0.25 0.16 0.127
H -3.265385 -0.063297 -0.083525 0.06 -0.22 -0.23 0.082
H -0.111388 0.916917 -3.528214 -0.13 -0.24 0.02 0.086
H -0.775794 -0.592125 -4.176950 0.04 0.25 0.20 0.114
H -1.835552 0.532104 -3.343879 0.18 0.05 -0.06 0.083
C 1.276795 1.095458 3.272446 -0.07 -1.04 1.32 -0.105
N 0.004238 0.603166 3.770827 -1.04 -0.16 0.20 -0.078
C -1.223381 0.920306 3.283260 -1.07 -1.15 1.62 -0.703
Se -1.621285 2.057308 1.887723 -0.73 0.50 0.02 0.709
N -2.188550 0.312035 4.083782 6.99 -0.46 0.23 0.172
C -1.474722 -0.330791 5.166255 -2.17 0.96 -1.05 -0.165
C -1.985866 -0.784054 6.352515 -0.08 -0.81 1.13 0.014
C -1.072304 -1.060396 7.378605 0.03 0.22 -0.88 -0.025
C 0.305798 -0.858499 7.176867 -0.25 -0.07 -0.36 -0.032
C 0.780210 -0.411576 5.945501 0.68 -0.24 0.44 0.007
C -0.143306 -0.156932 4.953227 0.65 0.83 -0.28 -0.167
H 1.721314 0.417994 2.486410 -0.39 0.63 1.25 0.016
H 1.991899 1.064543 4.118103 -0.31 0.19 -0.55 0.120
H 1.160493 2.133561 2.943547 0.13 -0.31 -0.15 0.083
H -3.120259 0.431978 4.019887 -3.66 0.60 -0.40 0.110
H -3.057081 -0.931738 6.466231 0.21 0.11 0.19 0.131
H -1.408580 -1.412996 8.337367 -0.18 -0.05 0.12 0.117
H 0.986165 -1.050868 8.000580 -0.01 0.05 -0.22 0.123
H 1.837484 -0.225501 5.760582 -0.20 -0.13 0.28 0.118

=====

Record 2
16
Properties=species:S:1:pos:R:3:forces:R:3:lowdin_charge:R:1 method="wB97M-V/def2-TZVPD" charge=+1 energy_ha=-379.20092 homo_lumo_gap_ev=8.17 lumo_energy_ev=-5.7
C -2.691653 -0.164406 0.253119 0.50 1.90 0.25 -0.022
C 2.326276 0.270595 -0.579831 2.20 1.56 0.43 0.044
C -1.796807 -0.518068 -0.672838 -3.28 -0.83 1.83 -0.072
N 1.320350 -0.289149 0.215372 -2.40 -0.12 2.53 -0.190
N 0.279831 0.263961 0.689781 0.38 -0.37 1.12 0.104
O 1.506814 -1.622004 0.582152 -0.28 1.68 -0.57 0.140
O 0.151245 1.570577 0.461524 3.78 -1.25 -2.14 0.105
H -3.462497 -0.803423 0.629886 -0.22 -0.45 -0.01 0.051
H 1.134383 -1.659857 1.471545 -0.31 -0.41 0.47 0.144
H -2.747000 0.897704 0.716522 0.33 -1.83 -0.88 0.085
H 1.723227 0.768408 -1.283272 -0.10 1.27 -1.43 0.085